Entries =
********
Diffraction record for La2Co2O5. The powder diffraction line list is calculated, not measured: it uses a cell relaxed with GGA+U and CuKα.

Top 10 peaks for 2θ from 15° to 90°, in order of rising 2θ:
hkl  Position (°2θ)  I_rel
1 0 1  22.6  19.1
0 0 2  31.2  31.6
1 4 1  32.2  100.0
2 0 0  33.0  32.0
1 6 1  41.4  12.8
2 0 2  46.0  27.7
0 8 0  46.3  11.9
1 4 3  56.1  22.3
3 4 1  58.4  17.5
2 8 2  67.3  10.6

Crystal structure
Cell: 5.429 15.690 5.735 Å, 90.00 90.00 90.00°
Space group Pnma (No. 62)
One atom of each set of equivalent atoms:
1 La 0.012 0.111 0.019 (multiplicity 8)
2 Co 0.000 0.000 0.500 (multiplicity 4)
3 Co 0.043 0.250 0.558 (multiplicity 4)
4 O 0.035 0.641 0.582 (multiplicity 8)
5 O 0.086 0.750 0.115 (multiplicity 4)
6 O 0.241 0.518 0.241 (multiplicity 8)



Diffraction record for La4Co4O11. The powder diffraction line list is calculated, not measured: it uses a cell relaxed with GGA+U and CuKα.

Top 10 peaks for 2θ from 15° to 90°, in order of rising 2θ:
hkl  Position (°2θ)  I_rel
1 0 -1  22.8  10.6
0 0 2  32.3  17.2
1 2 -1  32.7  100.0
2 0 -2  46.5  10.5
2 0 2  46.7  10.0
0 4 0  47.1  10.7
3 2 -1  58.2  15.9
3 2 1  58.3  8.5
2 4 0  58.5  8.1
4 0 0  68.4  8.3

Crystal structure
Cell: 5.484 7.722 5.539 Å, 90.00 90.20 90.00°
Space group Pm (No. 6)
One atom of each set of equivalent atoms:
1 La 0.000 0.000 0.000 (multiplicity 1)
2 La 0.014 0.500 0.933 (multiplicity 1)
3 La 0.489 0.500 0.433 (multiplicity 1)
4 La 0.513 0.000 0.509 (multiplicity 1)
5 Co 0.000 0.255 0.467 (multiplicity 2)
6 Co 0.511 0.247 0.968 (multiplicity 2)
7 O 0.216 0.280 0.199 (multiplicity 2)
8 O 0.280 0.280 0.677 (multiplicity 2)
9 O 0.429 0.000 0.955 (multiplicity 1)
10 O 0.586 0.500 0.985 (multiplicity 1)
11 O 0.744 0.194 0.256 (multiplicity 2)
12 O 0.800 0.191 0.731 (multiplicity 2)
13 O 0.910 0.500 0.499 (multiplicity 1)



Diffraction record for La5CoRe3O16. The powder diffraction line list is calculated, not measured: it uses a cell relaxed with GGA+U and CuKα.

Top 10 peaks for 2θ from 15° to 90°, in order of rising 2θ:
hkl  Position (°2θ)  I_rel
0 1 1  18.5  32.2
0 1 -2  23.0  20.7
1 -1 2  28.4  88.1
1 1 2  29.9  67.6
0 2 0  31.8  100.0
1 1 -3  33.5  34.1
-1 1 3  34.8  23.0
0 0 5  44.9  21.8
2 -2 0  45.2  36.9
3 -1 2  55.2  24.5

Crystal structure
Cell: 5.631 5.642 10.120 Å, 93.54 93.32 90.67°
Space group P-1 (No. 2)
One atom of each set of equivalent atoms:
1 La 0.000 0.000 0.000 (multiplicity 1)
2 La 0.035 0.509 0.706 (multiplicity 2)
3 La 0.486 0.972 0.300 (multiplicity 2)
4 Co 0.500 0.500 0.500 (multiplicity 1)
5 Re 0.000 0.000 0.500 (multiplicity 1)
6 Re 0.445 0.445 0.106 (multiplicity 2)
7 O 0.068 0.076 0.685 (multiplicity 2)
8 O 0.181 0.289 0.465 (multiplicity 2)
9 O 0.217 0.696 0.133 (multiplicity 2)
10 O 0.223 0.217 0.177 (multiplicity 2)
11 O 0.296 0.774 0.864 (multiplicity 2)
12 O 0.303 0.811 0.500 (multiplicity 2)
13 O 0.310 0.303 0.932 (multiplicity 2)
14 O 0.456 0.452 0.698 (multiplicity 2)



Diffraction record for La2Co2S2O3. The powder diffraction line list is calculated, not measured: it uses a cell relaxed with GGA+U and CuKα.

Top 10 peaks for 2θ from 15° to 90°, in order of rising 2θ:
hkl  Position (°2θ)  I_rel
1 0 3  26.8  100.0
0 0 6  30.3  26.8
1 1 0  31.4  23.6
1 1 2  33.0  51.7
1 0 5  33.7  91.2
1 1 4  37.5  41.8
2 0 0  45.0  56.5
1 1 8  52.3  43.6
2 1 3  53.1  31.2
2 1 5  57.4  37.1

Crystal structure
Cell: 4.029 4.029 17.723 Å, 90.00 90.00 90.00°
Space group I4/mmm (No. 139)
One atom of each set of equivalent atoms:
1 La 0.000 0.000 0.180 (multiplicity 4)
2 Co 0.000 0.500 0.000 (multiplicity 4)
3 S 0.000 0.000 0.407 (multiplicity 4)
4 O 0.000 0.000 0.000 (multiplicity 2)
5 O 0.000 0.500 0.250 (multiplicity 4)
********
Request =
Could you repeat everything further up character by character?
Worked solution =
Diffraction record for La2Co2O5. The powder diffraction line list is calculated, not measured: it uses a cell relaxed with GGA+U and CuKα.

Top 10 peaks for 2θ from 15° to 90°, in order of rising 2θ:
hkl  Position (°2θ)  I_rel
1 0 1  22.6  19.1
0 0 2  31.2  31.6
1 4 1  32.2  100.0
2 0 0  33.0  32.0
1 6 1  41.4  12.8
2 0 2  46.0  27.7
0 8 0  46.3  11.9
1 4 3  56.1  22.3
3 4 1  58.4  17.5
2 8 2  67.3  10.6

Crystal structure
Cell: 5.429 15.690 5.735 Å, 90.00 90.00 90.00°
Space group Pnma (No. 62)
One atom of each set of equivalent atoms:
1 La 0.012 0.111 0.019 (multiplicity 8)
2 Co 0.000 0.000 0.500 (multiplicity 4)
3 Co 0.043 0.250 0.558 (multiplicity 4)
4 O 0.035 0.641 0.582 (multiplicity 8)
5 O 0.086 0.750 0.115 (multiplicity 4)
6 O 0.241 0.518 0.241 (multiplicity 8)



Diffraction record for La4Co4O11. The powder diffraction line list is calculated, not measured: it uses a cell relaxed with GGA+U and CuKα.

Top 10 peaks for 2θ from 15° to 90°, in order of rising 2θ:
hkl  Position (°2θ)  I_rel
1 0 -1  22.8  10.6
0 0 2  32.3  17.2
1 2 -1  32.7  100.0
2 0 -2  46.5  10.5
2 0 2  46.7  10.0
0 4 0  47.1  10.7
3 2 -1  58.2  15.9
3 2 1  58.3  8.5
2 4 0  58.5  8.1
4 0 0  68.4  8.3

Crystal structure
Cell: 5.484 7.722 5.539 Å, 90.00 90.20 90.00°
Space group Pm (No. 6)
One atom of each set of equivalent atoms:
1 La 0.000 0.000 0.000 (multiplicity 1)
2 La 0.014 0.500 0.933 (multiplicity 1)
3 La 0.489 0.500 0.433 (multiplicity 1)
4 La 0.513 0.000 0.509 (multiplicity 1)
5 Co 0.000 0.255 0.467 (multiplicity 2)
6 Co 0.511 0.247 0.968 (multiplicity 2)
7 O 0.216 0.280 0.199 (multiplicity 2)
8 O 0.280 0.280 0.677 (multiplicity 2)
9 O 0.429 0.000 0.955 (multiplicity 1)
10 O 0.586 0.500 0.985 (multiplicity 1)
11 O 0.744 0.194 0.256 (multiplicity 2)
12 O 0.800 0.191 0.731 (multiplicity 2)
13 O 0.910 0.500 0.499 (multiplicity 1)



Diffraction record for La5CoRe3O16. The powder diffraction line list is calculated, not measured: it uses a cell relaxed with GGA+U and CuKα.

Top 10 peaks for 2θ from 15° to 90°, in order of rising 2θ:
hkl  Position (°2θ)  I_rel
0 1 1  18.5  32.2
0 1 -2  23.0  20.7
1 -1 2  28.4  88.1
1 1 2  29.9  67.6
0 2 0  31.8  100.0
1 1 -3  33.5  34.1
-1 1 3  34.8  23.0
0 0 5  44.9  21.8
2 -2 0  45.2  36.9
3 -1 2  55.2  24.5

Crystal structure
Cell: 5.631 5.642 10.120 Å, 93.54 93.32 90.67°
Space group P-1 (No. 2)
One atom of each set of equivalent atoms:
1 La 0.000 0.000 0.000 (multiplicity 1)
2 La 0.035 0.509 0.706 (multiplicity 2)
3 La 0.486 0.972 0.300 (multiplicity 2)
4 Co 0.500 0.500 0.500 (multiplicity 1)
5 Re 0.000 0.000 0.500 (multiplicity 1)
6 Re 0.445 0.445 0.106 (multiplicity 2)
7 O 0.068 0.076 0.685 (multiplicity 2)
8 O 0.181 0.289 0.465 (multiplicity 2)
9 O 0.217 0.696 0.133 (multiplicity 2)
10 O 0.223 0.217 0.177 (multiplicity 2)
11 O 0.296 0.774 0.864 (multiplicity 2)
12 O 0.303 0.811 0.500 (multiplicity 2)
13 O 0.310 0.303 0.932 (multiplicity 2)
14 O 0.456 0.452 0.698 (multiplicity 2)



Diffraction record for La2Co2S2O3. The powder diffraction line list is calculated, not measured: it uses a cell relaxed with GGA+U and CuKα.

Top 10 peaks for 2θ from 15° to 90°, in order of rising 2θ:
hkl  Position (°2θ)  I_rel
1 0 3  26.8  100.0
0 0 6  30.3  26.8
1 1 0  31.4  23.6
1 1 2  33.0  51.7
1 0 5  33.7  91.2
1 1 4  37.5  41.8
2 0 0  45.0  56.5
1 1 8  52.3  43.6
2 1 3  53.1  31.2
2 1 5  57.4  37.1

Crystal structure
Cell: 4.029 4.029 17.723 Å, 90.00 90.00 90.00°
Space group I4/mmm (No. 139)
One atom of each set of equivalent atoms:
1 La 0.000 0.000 0.180 (multiplicity 4)
2 Co 0.000 0.500 0.000 (multiplicity 4)
3 S 0.000 0.000 0.407 (multiplicity 4)
4 O 0.000 0.000 0.000 (multiplicity 2)
5 O 0.000 0.500 0.250 (multiplicity 4)